Listing
Record 1
Ce5Y5Ru6: calculated powder XRD pattern (Cu Kα (weighted mean of Kα1 and Kα2)), based on a cell relaxed with GGA-PBE.

Peak list (10 most intense, 10 to 90 degrees two-theta, in order of rising 2θ)
| index | two_theta | I (rel.) |
| --- | --- | --- |
| 0 1 1 | 12.55 | 42 |
| 0 5 1 | 31.84 | 40 |
| 1 5 1 | 35.03 | 62 |
| 2 3 1 | 35.76 | 100 |
| 0 6 0 | 35.88 | 59 |
| 2 0 2 | 36.57 | 59 |
| 1 1 3 | 37.21 | 52 |
| 0 3 3 | 38.29 | 40 |
| 2 2 2 | 38.56 | 22 |
| 2 6 2 | 52.18 | 26 |

Atomic structure:
a b c (Å): 6.2330 15.0106 7.9872
angles (deg): 90.00 90.00 90.00
Space group Amm2 (No. 38)
Inequivalent atoms, fractional coordinates:
Ce1 0.0000 0.0000 0.0000 x2
Ce2 0.2516 0.1737 0.2285 x8
Y1 0.0000 0.1188 0.6045 x4
Y2 0.5000 0.0000 0.4679 x2
Y3 0.5000 0.1181 0.8487 x4
Ru1 0.0000 0.0000 0.3056 x2
Ru2 0.0000 0.1954 0.9535 x4
Ru3 0.5000 0.0000 0.1245 x2
Ru4 0.5000 0.1989 0.4992 x4



Record 2
PaZnNiRu: calculated powder XRD pattern (Cu Kα (weighted mean of Kα1 and Kα2)), based on a cell relaxed with GGA-PBE.

Peak list (10 most intense, 10 to 90 degrees two-theta, in order of rising 2θ)
| index | two_theta | I (rel.) |
| --- | --- | --- |
| 1 1 1 | 23.89 | 28 |
| 2 0 0 | 27.66 | 9 |
| 2 2 0 | 39.51 | 100 |
| 3 1 1 | 46.70 | 15 |
| 4 0 0 | 57.11 | 17 |
| 3 3 1 | 62.79 | 7 |
| 4 2 2 | 71.67 | 34 |
| 5 1 1 | 76.77 | 5 |
| 4 4 0 | 85.07 | 11 |
| 5 3 1 | 89.98 | 6 |

Atomic structure:
a b c (Å): 6.4509 6.4509 6.4509
angles (deg): 90.00 90.00 90.00
Space group F-43m (No. 216)
Inequivalent atoms, fractional coordinates:
Pa1 0.0000 0.0000 0.0000 x4
Zn1 0.0000 0.0000 0.5000 x4
Ni1 0.2500 0.2500 0.7500 x4
Ru1 0.2500 0.2500 0.2500 x4



Record 3
ErPd2Pt7: calculated powder XRD pattern (Cu Kα (weighted mean of Kα1 and Kα2)), based on a cell relaxed with GGA-PBE.

Peak list (10 most intense, 10 to 90 degrees two-theta, in order of rising 2θ)
| index | two_theta | I (rel.) |
| --- | --- | --- |
| 1 1 0 | 14.14 | 31 |
| 0 0 1 | 20.14 | 40 |
| 2 0 1 | 32.36 | 27 |
| 0 4 1 | 33.82 | 30 |
| 2 4 0 | 37.09 | 47 |
| 0 0 2 | 40.93 | 50 |
| 1 5 1 | 41.72 | 100 |
| 3 1 1 | 43.93 | 67 |
| 2 4 2 | 56.41 | 28 |
| 5 5 1 | 79.59 | 42 |

Atomic structure:
a b c (Å): 7.1052 13.2631 4.4099
angles (deg): 90.00 90.00 90.00
Space group Cmmm (No. 65)
Inequivalent atoms, fractional coordinates:
Er1 0.0000 0.0000 0.0000 x2
Pd1 0.0000 0.2990 0.5000 x4
Pt1 0.0000 0.2018 0.0000 x4
Pt2 0.0000 0.5000 0.5000 x2
Pt3 0.1840 0.1075 0.5000 x8



Record 4
Pm5Y12Ho: calculated powder XRD pattern (Cu Kα (weighted mean of Kα1 and Kα2)), based on a cell relaxed with GGA-PBE.

Peak list (10 most intense, 10 to 90 degrees two-theta, in order of rising 2θ)
| index | two_theta | I (rel.) |
| --- | --- | --- |
| 2 0 0 | 11.63 | 7 |
| 1 3 1 | 25.48 | 5 |
| 3 3 1 | 30.49 | 100 |
| 6 0 0 | 35.35 | 50 |
| 6 6 0 | 50.86 | 35 |
| 9 3 1 | 60.47 | 41 |
| 6 6 2 | 63.46 | 12 |
| 9 9 1 | 82.87 | 17 |
| 6 12 0 | 85.48 | 10 |
| 12 6 0 | 85.60 | 5 |

Atomic structure:
a b c (Å): 15.2182 15.2447 5.0797
angles (deg): 90.00 90.00 90.00
Space group Cmmm (No. 65)
Inequivalent atoms, fractional coordinates:
Pm1 0.0000 0.0000 0.0000 x2
Pm2 0.0000 0.1669 0.5000 x4
Pm3 0.0000 0.3343 0.0000 x4
Y1 0.1665 0.3340 0.5000 x8
Y2 0.1662 0.5000 0.0000 x4
Y3 0.1673 0.0000 0.5000 x4
Y4 0.1673 0.1670 0.0000 x8
Ho1 0.0000 0.5000 0.5000 x2

~~~~~

# Pr4Nd2SmCd2
Theoretical XRD peak list, Cu Kα, 1.54184 Å. Input: the GGA-PBE geometry in Alexandria.

Crystal structure
a = 6.2429 Å, b = 6.3421 Å, c = 8.4226 Å
α = 68.01°, β = 72.79°, γ = 81.19°
Space group P-1 (No. 2)
One atom of each set of equivalent atoms:
Pr1 0.0665 0.1916 0.2787
Pr2 0.1913 0.2234 0.8496
Nd1 0.2722 0.5949 0.3767
Sm1 0.5000 0.0000 0.5000
Cd1 0.3512 0.6824 0.9265

Most intense lines, 2θ from 5° to 70°, in order of falling intensity:
Activity
What is needed: find the line further up that holds "38.56", then repeat that line and all lines after it there.
Written answer
| 2 2 2 | 38.56 | 22 |
| 2 6 2 | 52.18 | 26 |

Atomic structure:
a b c (Å): 6.2330 15.0106 7.9872
angles (deg): 90.00 90.00 90.00
Space group Amm2 (No. 38)
Inequivalent atoms, fractional coordinates:
Ce1 0.0000 0.0000 0.0000 x2
Ce2 0.2516 0.1737 0.2285 x8
Y1 0.0000 0.1188 0.6045 x4
Y2 0.5000 0.0000 0.4679 x2
Y3 0.5000 0.1181 0.8487 x4
Ru1 0.0000 0.0000 0.3056 x2
Ru2 0.0000 0.1954 0.9535 x4
Ru3 0.5000 0.0000 0.1245 x2
Ru4 0.5000 0.1989 0.4992 x4



Record 2
PaZnNiRu: calculated powder XRD pattern (Cu Kα (weighted mean of Kα1 and Kα2)), based on a cell relaxed with GGA-PBE.

Peak list (10 most intense, 10 to 90 degrees two-theta, in order of rising 2θ)
| index | two_theta | I (rel.) |
| --- | --- | --- |
| 1 1 1 | 23.89 | 28 |
| 2 0 0 | 27.66 | 9 |
| 2 2 0 | 39.51 | 100 |
| 3 1 1 | 46.70 | 15 |
| 4 0 0 | 57.11 | 17 |
| 3 3 1 | 62.79 | 7 |
| 4 2 2 | 71.67 | 34 |
| 5 1 1 | 76.77 | 5 |
| 4 4 0 | 85.07 | 11 |
| 5 3 1 | 89.98 | 6 |

Atomic structure:
a b c (Å): 6.4509 6.4509 6.4509
angles (deg): 90.00 90.00 90.00
Space group F-43m (No. 216)
Inequivalent atoms, fractional coordinates:
Pa1 0.0000 0.0000 0.0000 x4
Zn1 0.0000 0.0000 0.5000 x4
Ni1 0.2500 0.2500 0.7500 x4
Ru1 0.2500 0.2500 0.2500 x4



Record 3
ErPd2Pt7: calculated powder XRD pattern (Cu Kα (weighted mean of Kα1 and Kα2)), based on a cell relaxed with GGA-PBE.

Peak list (10 most intense, 10 to 90 degrees two-theta, in order of rising 2θ)
| index | two_theta | I (rel.) |
| --- | --- | --- |
| 1 1 0 | 14.14 | 31 |
| 0 0 1 | 20.14 | 40 |
| 2 0 1 | 32.36 | 27 |
| 0 4 1 | 33.82 | 30 |
| 2 4 0 | 37.09 | 47 |
| 0 0 2 | 40.93 | 50 |
| 1 5 1 | 41.72 | 100 |
| 3 1 1 | 43.93 | 67 |
| 2 4 2 | 56.41 | 28 |
| 5 5 1 | 79.59 | 42 |

Atomic structure:
a b c (Å): 7.1052 13.2631 4.4099
angles (deg): 90.00 90.00 90.00
Space group Cmmm (No. 65)
Inequivalent atoms, fractional coordinates:
Er1 0.0000 0.0000 0.0000 x2
Pd1 0.0000 0.2990 0.5000 x4
Pt1 0.0000 0.2018 0.0000 x4
Pt2 0.0000 0.5000 0.5000 x2
Pt3 0.1840 0.1075 0.5000 x8



Record 4
Pm5Y12Ho: calculated powder XRD pattern (Cu Kα (weighted mean of Kα1 and Kα2)), based on a cell relaxed with GGA-PBE.

Peak list (10 most intense, 10 to 90 degrees two-theta, in order of rising 2θ)
| index | two_theta | I (rel.) |
| --- | --- | --- |
| 2 0 0 | 11.63 | 7 |
| 1 3 1 | 25.48 | 5 |
| 3 3 1 | 30.49 | 100 |
| 6 0 0 | 35.35 | 50 |
| 6 6 0 | 50.86 | 35 |
| 9 3 1 | 60.47 | 41 |
| 6 6 2 | 63.46 | 12 |
| 9 9 1 | 82.87 | 17 |
| 6 12 0 | 85.48 | 10 |
| 12 6 0 | 85.60 | 5 |

Atomic structure:
a b c (Å): 15.2182 15.2447 5.0797
angles (deg): 90.00 90.00 90.00
Space group Cmmm (No. 65)
Inequivalent atoms, fractional coordinates:
Pm1 0.0000 0.0000 0.0000 x2
Pm2 0.0000 0.1669 0.5000 x4
Pm3 0.0000 0.3343 0.0000 x4
Y1 0.1665 0.3340 0.5000 x8
Y2 0.1662 0.5000 0.0000 x4
Y3 0.1673 0.0000 0.5000 x4
Y4 0.1673 0.1670 0.0000 x8
Ho1 0.0000 0.5000 0.5000 x2

~~~~~

# Pr4Nd2SmCd2
Theoretical XRD peak list, Cu Kα, 1.54184 Å. Input: the GGA-PBE geometry in Alexandria.

Crystal structure
a = 6.2429 Å, b = 6.3421 Å, c = 8.4226 Å
α = 68.01°, β = 72.79°, γ = 81.19°
Space group P-1 (No. 2)
One atom of each set of equivalent atoms:
Pr1 0.0665 0.1916 0.2787
Pr2 0.1913 0.2234 0.8496
Nd1 0.2722 0.5949 0.3767
Sm1 0.5000 0.0000 0.5000
Cd1 0.3512 0.6824 0.9265

Most intense lines, 2θ from 5° to 70°, in order of falling intensity: